**Exercise**
Please quote the notes further down without additions.

**File**
(1)
{"formula": "C22H24BF4O2", "method": "ωB97M-V/def2-TZVPD", "molar_mass_g_mol": 407.2, "relative_energy_kj_mol": 2.2, "orbital_gap_ev": 6.13, "energy_ev": -38837.55276, "e_lumo_ha": -0.2261, "charge": 1, "symbols": ["C", "C", "C", "C", "C", "C", "O", "B", "C", "C", "C", "O", "H", "H", "H", "H", "H", "H", "H", "H", "H", "H", "H", "H", "H", "H", "H", "H", "H", "F", "C", "C", "C", "F", "C", "C", "C", "C", "C", "C", "F", "C", "C", "F", "C", "C", "H", "H", "H", "H", "H", "H", "H"], "positions_angstrom": [[-4.095936, 2.492749, -2.110442], [-3.245864, 1.522401, -1.284437], [-3.742288, 1.515313, 0.144045], [-3.070998, 0.103527, -1.993351], [-2.770534, -1.026394, -1.007349], [-4.216868, -0.327483, -2.887335], [-1.878441, 0.307146, -2.799212], [-1.167439, 1.269891, -2.105305], [0.418303, 1.425008, -2.142124], [1.114293, 1.267517, -0.923599], [2.239642, 0.251096, -0.688370], [-1.898417, 2.046863, -1.245009], [-5.156962, 2.222278, -2.035339], [-3.976898, 3.509573, -1.713865], [-3.802945, 2.495975, -3.170186], [-4.779253, 1.163797, 0.183988], [-3.121209, 0.878045, 0.783135], [-3.702474, 2.536554, 0.539984], [-3.652625, -1.253312, -0.398423], [-2.503643, -1.930937, -1.568208], [-1.930947, -0.784304, -0.340680], [-5.107795, -0.504155, -2.271579], [-4.465850, 0.418321, -3.648880], [-3.971201, -1.269831, -3.388934], [0.749370, 0.699443, -2.853727], [0.517535, 2.430857, -2.533252], [0.919534, 1.930424, -0.131483], [3.277736, 0.243357, -1.041774], [1.993085, -0.495313, -1.540377], [-1.759176, -1.214725, 2.367562], [-0.620969, -0.443043, 2.443761], [-0.484692, 0.431331, 3.528689], [0.696972, 1.158820, 3.620696], [0.884401, 2.029889, 4.674592], [1.734809, 1.007311, 2.708802], [1.568781, 0.123916, 1.673785], [2.636748, 0.104997, 0.635771], [3.615231, -1.117337, 0.939734], [5.001910, -1.065967, 0.681183], [5.786937, -2.222797, 0.681907], [7.124680, -2.145586, 0.302253], [5.301742, -3.467010, 1.118940], [3.968110, -3.466703, 1.567253], [3.481797, -4.679370, 2.059871], [3.162397, -2.308692, 1.555327], [0.406746, -0.618498, 1.504792], [-1.278018, 0.541668, 4.275205], [2.687045, 1.511202, 2.839745], [3.285080, 0.965082, 0.840617], [5.451098, -0.131200, 0.364322], [5.936516, -4.367491, 1.126056], [2.153746, -2.415488, 1.948532], [0.287203, -1.348724, 0.712667]], "forces_ev_per_a": [[0.056, 0.000, -0.103], [-0.931, 0.025, -0.381], [-0.052, -0.286, 0.217], [-0.604, 0.147, 0.536], [0.150, -0.038, -0.026], [-0.251, 0.166, -0.105], [1.427, 0.858, 0.724], [-2.012, -0.193, 0.545], [0.463, -1.129, -0.397], [3.149, -0.825, -0.887], [-2.999, 0.293, -6.226], [1.237, -0.796, -0.667], [0.260, 0.055, -0.097], [0.000, -0.277, -0.067], [-0.068, 0.018, 0.300], [0.179, 0.037, 0.065], [-0.155, 0.093, -0.083], [-0.065, -0.200, -0.111], [0.222, 0.078, -0.058], [-0.066, 0.216, 0.088], [-0.218, 0.017, -0.081], [0.140, 0.064, -0.135], [0.105, -0.179, 0.155], [0.033, 0.194, 0.114], [0.412, -0.336, -0.746], [-0.002, 0.758, 0.182], [-0.518, 0.767, 1.191], [-0.007, 1.723, -1.738], [-0.229, -0.427, 2.050], [1.299, 0.977, -0.083], [-0.048, -0.437, 0.419], [-0.347, 0.033, -0.143], [0.320, 0.462, 0.991], [-0.427, -1.151, -1.366], [-0.251, 0.236, 0.984], [-0.583, 0.206, -0.505], [2.606, -2.345, 6.109], [0.393, -0.972, 0.624], [-0.348, 0.166, -1.079], [0.788, -0.423, 0.431], [-2.063, 0.054, 0.537], [-0.361, 0.559, -0.091], [0.558, -0.495, 0.305], [0.448, 2.136, -0.689], [-0.289, -0.746, -0.741], [-1.111, 0.076, 0.522], [0.347, -0.061, -0.347], [-0.260, 0.197, 0.067], [-0.149, 0.064, 0.117], [0.130, -0.065, -0.121], [-0.477, 0.597, 0.022], [0.165, 0.044, -0.194], [0.007, 0.063, -0.031]]}

(2)

**Solution**
(1)
{"formula": "C22H24BF4O2", "method": "ωB97M-V/def2-TZVPD", "molar_mass_g_mol": 407.2, "relative_energy_kj_mol": 2.2, "orbital_gap_ev": 6.13, "energy_ev": -38837.55276, "e_lumo_ha": -0.2261, "charge": 1, "symbols": ["C", "C", "C", "C", "C", "C", "O", "B", "C", "C", "C", "O", "H", "H", "H", "H", "H", "H", "H", "H", "H", "H", "H", "H", "H", "H", "H", "H", "H", "F", "C", "C", "C", "F", "C", "C", "C", "C", "C", "C", "F", "C", "C", "F", "C", "C", "H", "H", "H", "H", "H", "H", "H"], "positions_angstrom": [[-4.095936, 2.492749, -2.110442], [-3.245864, 1.522401, -1.284437], [-3.742288, 1.515313, 0.144045], [-3.070998, 0.103527, -1.993351], [-2.770534, -1.026394, -1.007349], [-4.216868, -0.327483, -2.887335], [-1.878441, 0.307146, -2.799212], [-1.167439, 1.269891, -2.105305], [0.418303, 1.425008, -2.142124], [1.114293, 1.267517, -0.923599], [2.239642, 0.251096, -0.688370], [-1.898417, 2.046863, -1.245009], [-5.156962, 2.222278, -2.035339], [-3.976898, 3.509573, -1.713865], [-3.802945, 2.495975, -3.170186], [-4.779253, 1.163797, 0.183988], [-3.121209, 0.878045, 0.783135], [-3.702474, 2.536554, 0.539984], [-3.652625, -1.253312, -0.398423], [-2.503643, -1.930937, -1.568208], [-1.930947, -0.784304, -0.340680], [-5.107795, -0.504155, -2.271579], [-4.465850, 0.418321, -3.648880], [-3.971201, -1.269831, -3.388934], [0.749370, 0.699443, -2.853727], [0.517535, 2.430857, -2.533252], [0.919534, 1.930424, -0.131483], [3.277736, 0.243357, -1.041774], [1.993085, -0.495313, -1.540377], [-1.759176, -1.214725, 2.367562], [-0.620969, -0.443043, 2.443761], [-0.484692, 0.431331, 3.528689], [0.696972, 1.158820, 3.620696], [0.884401, 2.029889, 4.674592], [1.734809, 1.007311, 2.708802], [1.568781, 0.123916, 1.673785], [2.636748, 0.104997, 0.635771], [3.615231, -1.117337, 0.939734], [5.001910, -1.065967, 0.681183], [5.786937, -2.222797, 0.681907], [7.124680, -2.145586, 0.302253], [5.301742, -3.467010, 1.118940], [3.968110, -3.466703, 1.567253], [3.481797, -4.679370, 2.059871], [3.162397, -2.308692, 1.555327], [0.406746, -0.618498, 1.504792], [-1.278018, 0.541668, 4.275205], [2.687045, 1.511202, 2.839745], [3.285080, 0.965082, 0.840617], [5.451098, -0.131200, 0.364322], [5.936516, -4.367491, 1.126056], [2.153746, -2.415488, 1.948532], [0.287203, -1.348724, 0.712667]], "forces_ev_per_a": [[0.056, 0.000, -0.103], [-0.931, 0.025, -0.381], [-0.052, -0.286, 0.217], [-0.604, 0.147, 0.536], [0.150, -0.038, -0.026], [-0.251, 0.166, -0.105], [1.427, 0.858, 0.724], [-2.012, -0.193, 0.545], [0.463, -1.129, -0.397], [3.149, -0.825, -0.887], [-2.999, 0.293, -6.226], [1.237, -0.796, -0.667], [0.260, 0.055, -0.097], [0.000, -0.277, -0.067], [-0.068, 0.018, 0.300], [0.179, 0.037, 0.065], [-0.155, 0.093, -0.083], [-0.065, -0.200, -0.111], [0.222, 0.078, -0.058], [-0.066, 0.216, 0.088], [-0.218, 0.017, -0.081], [0.140, 0.064, -0.135], [0.105, -0.179, 0.155], [0.033, 0.194, 0.114], [0.412, -0.336, -0.746], [-0.002, 0.758, 0.182], [-0.518, 0.767, 1.191], [-0.007, 1.723, -1.738], [-0.229, -0.427, 2.050], [1.299, 0.977, -0.083], [-0.048, -0.437, 0.419], [-0.347, 0.033, -0.143], [0.320, 0.462, 0.991], [-0.427, -1.151, -1.366], [-0.251, 0.236, 0.984], [-0.583, 0.206, -0.505], [2.606, -2.345, 6.109], [0.393, -0.972, 0.624], [-0.348, 0.166, -1.079], [0.788, -0.423, 0.431], [-2.063, 0.054, 0.537], [-0.361, 0.559, -0.091], [0.558, -0.495, 0.305], [0.448, 2.136, -0.689], [-0.289, -0.746, -0.741], [-1.111, 0.076, 0.522], [0.347, -0.061, -0.347], [-0.260, 0.197, 0.067], [-0.149, 0.064, 0.117], [0.130, -0.065, -0.121], [-0.477, 0.597, 0.022], [0.165, 0.044, -0.194], [0.007, 0.063, -0.031]]}

(2)